Bipolar Disorder and Schizoaffective Disorder: What is the difference?

I just received the following comment from Laura regarding my article on psychosis for  She raises an imporant point- how do you know the difference between the diagnosis of bipolar disorder and schizo-affective disorder?

Hi Julie,

Your article was very helpful for me. It not only educated me but gave me hope which I desperately need right now. My 19 year old son is currently hospitalized after a suicide attempt. They have diagnosed with as BP type 1 but possibly schizoidaffective.
After reading about the psychosis differences between the two, I am hopeful – he seems to display the BP type of psychosis instead of schizphrenic type.

Hi Laura,

I am so glad the blog helped.  Schizoaffective disorder is actually easy to understand in terms of a diagnosis-  If the psychosis comes with an obvious mood swing- such a psychotic mania- ie, a person could be euphoric with high energy, zero desire to sleep with no tiredness the next day and the belief they are the reincarnation of a famous figure, that is bipolar disorder.  If the person has mood swings without psychosis such as a suicidal depression, that is bipolar disorder as well. If a person has psychosis with NO mood swing at the time- in other words they hear voices and feel the police have bugged the house- that would be a diagnosis of schizoaffective disorder.

Bipolar disorder psychosis can mimic schizophrenia psychosis, as it did with my partner Ivan who was in a three month manic/psychotic episode, but for others, it does fit the pattern I talk about in my psychosis article.

I hope your son is doing better. Please remind him that suicide and suicidal attempts are a normal part of bipolar disorder. He can learn to manage the illness so this doesn’t happen again.  He went into the hospital- so he is a strong guy who can get better. It just takes a plan. Julie

9 comments to Bipolar Disorder and Schizoaffective Disorder: What is the difference?

  • kathy

    Noticed you haven’t blogged lately. Hope you are okay and just busy….Kathy

    • Hi Kathy,

      I have been writing an artilce on the role between physicall illness and mental illness- 20 pages of technical information that has to be put into easy to read and lively prose! 😉

      I am back to blogging today.

**These calculated crystals were left in the text by mistake:**
********
Record 1
Calculated powder diffractogram of Li2TiMn2O5 for λ = 1.5418 Å (Cu Kα), from a structure optimized by DFT (GGA+U).
Neutral-atom scattering factors, no anomalous dispersion.

Peak list (10 most intense, 10° ≤ 2θ ≤ 80°, most intense first)
42.06°, intensity 1000, hkl 1 5 1; 41.33°, intensity 514, hkl 2 0 -2; 35.97°, intensity 317, hkl 1 5 -1; 21.16°, intensity 276, hkl 1 1 -1; 60.34°, intensity 273, hkl 1 5 -3; 60.53°, intensity 270, hkl 3 5 -1; 11.64°, intensity 223, hkl 0 2 0; 21.28°, intensity 217, hkl 0 2 1; 25.08°, intensity 181, hkl 1 3 0; 76.28°, intensity 175, hkl 0 0 4

Cell and atoms:
```
data_Li2TiMn2O5
_chemical_formula_sum 'Li8 Ti4 Mn8 O20'
_symmetry_space_group_name_H-M 'C 1 2 1'
_symmetry_Int_Tables_number 5
_cell_length_a 5.3096
_cell_length_b 15.2056
_cell_length_c 5.3301
_cell_angle_alpha 90.00
_cell_angle_beta 110.41
_cell_angle_gamma 90.00
loop_
_symmetry_equiv_pos_as_xyz
'x,y,z'
'-x,y,-z'
'x+1/2,y+1/2,z'
'-x+1/2,y+1/2,-z'
loop_
_atom_site_label
_atom_site_type_symbol
_atom_site_fract_x
_atom_site_fract_y
_atom_site_fract_z
Li1 Li 0.0000 0.0000 0.0000
Li2 Li 0.0000 0.0980 0.5000
Li3 Li 0.0000 0.2898 0.5000
Li4 Li 0.0000 0.5956 0.0000
Ti1 Ti 0.0000 0.1838 0.0000
Ti2 Ti 0.0000 0.4931 0.5000
Mn1 Mn 0.0000 0.3989 0.0000
Mn2 Mn 0.0000 0.6936 0.5000
Mn3 Mn 0.0000 0.7951 0.0000
Mn4 Mn 0.0000 0.8991 0.5000
O1 O 0.2204 0.4999 0.2784
O2 O 0.2237 0.1965 0.7766
O3 O 0.2406 0.0975 0.2418
O4 O 0.2410 0.2905 0.2395
O5 O 0.2412 0.4079 0.7370
```

Record 2
Calculated powder diffractogram of Mg2SbMoO6 for λ = 1.5418 Å (Cu Kα), from a structure optimized by DFT (GGA+U).
Neutral-atom scattering factors, no anomalous dispersion.

Peak list (10 most intense, 10° ≤ 2θ ≤ 80°, most intense first)
32.72°, intensity 1000, hkl 1 2 -1; 32.87°, intensity 672, hkl 1 2 1; 22.75°, intensity 458, hkl 0 2 0; 23.16°, intensity 427, hkl 1 0 -1; 23.41°, intensity 421, hkl 1 0 1; 33.55°, intensity 286, hkl 2 0 0; 59.33°, intensity 192, hkl 3 2 -1; 46.47°, intensity 177, hkl 0 4 0; 59.67°, intensity 172, hkl 3 2 1; 58.03°, intensity 171, hkl 0 4 2

Cell and atoms:
```
data_Mg2SbMoO6
_chemical_formula_sum 'Mg4 Sb2 Mo2 O12'
_symmetry_space_group_name_H-M 'P 1 21/m 1'
_symmetry_Int_Tables_number 11
_cell_length_a 5.3428
_cell_length_b 7.8161
_cell_length_c 5.4646
_cell_angle_alpha 90.00
_cell_angle_beta 90.59
_cell_angle_gamma 90.00
loop_
_symmetry_equiv_pos_as_xyz
'x,y,z'
'-x,-y,-z'
'-x,y+1/2,-z'
'x,-y+1/2,z'
loop_
_atom_site_label
_atom_site_type_symbol
_atom_site_fract_x
_atom_site_fract_y
_atom_site_fract_z
Mg1 Mg 0.0074 0.2500 0.4449
Mg2 Mg 0.4870 0.7500 0.0313
Sb1 Sb 0.5000 0.0000 0.5000
Mo1 Mo 0.0000 0.0000 0.0000
O1 O 0.1327 0.7500 0.9057
O2 O 0.1864 0.0706 0.6642
O3 O 0.3432 0.0714 0.1863
O4 O 0.3622 0.7500 0.4166
```

Record 3
Calculated powder diffractogram of Li9Co2O8 for λ = 1.5418 Å (Cu Kα), from a structure optimized by DFT (GGA+U).
Neutral-atom scattering factors, no anomalous dispersion.
********


  • kathy

    Lofty goal, “easy to read and lovely prose’ of technical info.. Glad you are working and well. 🙂

    • Hi Kathy, Thanks for your kind comments. I have to say that the only time I don’t blog is when I get overwhelmed with work- but I’m loving work so much these days. It’s a miracle to work when I’m not either depressed, manic or psychotic. I tend to write more blogs when I’m sick! I try not to upset people as it’s just the illness and I live through it. I hope you are doing well. We take what we can get and cherish it! Julie

  • James


    I have Schizoaffective and bi-polar2. I just want you to know that there is recovery from this illness with proper treatment. I am 48 years old and have not had any symptoms in almost 10 years. I starting taking an a-typical anti-psychotic with my other medicines and the voices stopped as did the psychosis. This happened about 7 years ago, up until then I had done pretty well on my own for 3 years. Before that time was sheer hell for about 13 years, I never thought it would end, but it has.

  • Lisa

+++
[1]
Computed X-ray diffraction stick pattern
Compound: TbCe2Sc12
Radiation: Cu Kα, 1.54184 Å
Structure: a DFT-relaxed cell (PBE, Alexandria)
Kinematic intensities with the Lorentz-polarization factor, no thermal factor.

Most intense lines, 10 to 90 degrees two-theta, by angle:
2θ (°)  I (rel.)
11.51  362
22.87  493
31.50  573
32.04  982
33.21  584
34.04  898
34.36  603
35.50  540
35.92  1000
47.06  368

Structure:
abc: 6.1968 6.1968 23.0605
angles: 90.00 90.00 116.44
Positions (direct):
Tb  0.2500  0.7500  0.9994
Tb  0.7500  0.2500  0.0006
Ce  0.2500  0.7500  0.2723
Ce  0.2500  0.7500  0.7277
Ce  0.7500  0.2500  0.2723
Ce  0.7500  0.2500  0.7277
Sc  0.0003  0.9997  0.4401
Sc  0.9997  0.0003  0.5599
Sc  0.9998  0.4998  0.1316
Sc  0.9998  0.4998  0.4176
Sc  0.0002  0.5002  0.5824
Sc  0.0002  0.5002  0.8684
Sc  0.0008  0.9992  0.0832
Sc  0.2500  0.2500  0.2021
Sc  0.2500  0.2500  0.3317
Sc  0.2500  0.2500  0.6683
Sc  0.2500  0.2500  0.7979
Sc  0.4992  0.5008  0.0832
Sc  0.5002  0.0002  0.1316
Sc  0.5002  0.0002  0.4176
Sc  0.4998  0.9998  0.5824
Sc  0.4998  0.9998  0.8684
Sc  0.4997  0.5003  0.4401
Sc  0.5003  0.4997  0.5599
Sc  0.5008  0.4992  0.9168
Sc  0.7500  0.7500  0.2021
Sc  0.7500  0.7500  0.3317
Sc  0.7500  0.7500  0.6683
Sc  0.7500  0.7500  0.7979
Sc  0.9992  0.0008  0.9168

=====

[2]
Computed X-ray diffraction stick pattern
Compound: ErLu2Cu
Radiation: Cu Kα, 1.54184 Å
Structure: a DFT-relaxed cell (PBE, Alexandria)
Kinematic intensities with the Lorentz-polarization factor, no thermal factor.

Most intense lines, 10 to 90 degrees two-theta, by angle:
2θ (°)  I (rel.)
27.77  201
31.76  1000
33.12  194
38.55  444
50.75  163
51.75  279
59.74  146
62.01  147
65.52  108
84.93  123

Structure:
abc: 9.8519 9.8519 9.8519
angles: 20.66 20.66 20.66
Positions (direct):
Er  0.0000  0.0000  0.0000
Lu  0.2344  0.2344  0.2344
Lu  0.7656  0.7656  0.7656
Cu  0.5000  0.5000  0.5000

=====

[3]
Computed X-ray diffraction stick pattern
Compound: Cs2MnPBr6
Radiation: Cu Kα, 1.54184 Å
Structure: a DFT-relaxed cell (PBE, Alexandria)
Kinematic intensities with the Lorentz-polarization factor, no thermal factor.

Most intense lines, 10 to 90 degrees two-theta, by angle:
2θ (°)  I (rel.)
22.15  186
27.67  1000
29.88  287
33.10  528
45.19  348
47.51  182
51.71  103
55.87  261
57.15  168
86.81  100

Structure:
abc: 8.0657 8.0657 8.0657
angles: 123.34 123.34 84.30
Positions (direct):
Cs  0.2500  0.7500  0.5000
Cs  0.7500  0.2500  0.5000
Mn  0.0000  0.0000  0.0000
P  0.5000  0.5000  0.0000
Br  0.2078  0.2078  0.0000
Br  0.2621  0.2621  0.5242
Br  0.2621  0.7379  0.0000
Br  0.7379  0.2621  0.0000
Br  0.7379  0.7379  0.4758
Br  0.7922  0.7922  0.0000

=====

Repeat the second record exactly.
Computed X-ray diffraction stick pattern
Compound: ErLu2Cu
Radiation: Cu Kα, 1.54184 Å
Structure: a DFT-relaxed cell (PBE, Alexandria)
Kinematic intensities with the Lorentz-polarization factor, no thermal factor.

Most intense lines, 10 to 90 degrees two-theta, by angle:
+++

    Hi Julie,
    I wrote on one of the other topics last week relating to your book and my undiagnosed husband.I was for a long time told it was all me and I was the problem as I said.Last year I found out that my husbands birth father had schizophrenia.I wonder if it was misdiagnosed and was bipolar?He is deceased now and from what I was able to learn had a horrible confused life and nobody was really able to help him after all the treatments.My husbands family always told my husband that his real father abandoned them and was a alcholic not mentally ill.I know that because of his father, my husband has a one in ten percent chance of having something(and he does).It was not until I was about at the end of my rope with really hard and at times irrational problems in our realtionship,I started to look up stuff on the internet.Things were so confusing and I did not know what was wrong. I finally came upon what I think it is.Bipolar 2.Things all make sense now.Are the two illnesses connected?I did not realise that bipolar can have psychotic behavior too until I was reading your “Loving Someone with Bipolar”
    Right now I am stuck with him in denial and not wanting to deal with anything.(I am confused he says)The more I think back into his behavior in the three years we have been married the more I see the pattern.I am doing alot of the things your mentioned in your book and it has helped ,but I cannot talk to him about it at all.It is hard being in this alone.How in the world do you get someone to admit they have a problem and get help?He functions at work and is not too bad with money.His symptoms are mostly evident here at home and in our marriage nobody really sees it.His family lives a long ways away and they are not much help .There is alot of disfunction there.He is from away from here .He has never had a relationship that has lasted and now I know why(that should have been a red light when we were dating!).He has been married twice and had a few girlfriends.It was always their fault-infidelity.I can see why if he treated them the way he has treated me.I am more understandin now that I know this is a illness.It is like you said in the book I have had emotions to work out in my journal!

  • Ranen

    I have bipolar 1 + schizoeffective disorder. I am taking Resperidone 1 mg twice a day and Lamictal 50mg at night, which has somewhat worked to help stop my delusions about being a secret agent, cops spying on me bugging the house, but i almost to the point where the medicine isn’t going to keep on working at this dosage. I am already slowed down enough during my day because of th medicine. But i am still hearing things and smelling and seeing things that arent there. For instance the other night i swore i had seen a cat outside and i took a second look and there was no cat. I heard someone or thing bannging on my window but there was no one there. I am wondering if i should just get a higher dosage of Resperidone or go to something else.

  • Julie,
    I have bipolar 1 + schizoeffective disorder. I am taking Resperidone 1 mg twice a day and Lamictal 50mg at night, which has somewhat worked to help stop my delusions about being a secret agent, cops spying on me bugging the house, but i almost to the point where the medicine isn

  • Anna

    Hi Julie,

    My boyfriend has schizo affective disorder. He is always been paranoid that somebody is going to get him , do something bad or wil steal his luggage while walking on the streets. He has panic attack also . I really wanted to help and understand him more and give unconditional love inspite of his condition. But I’m just worried about my safety, if he is capable of harming himself and others in case he try not to take his medicines.